-- What to do --
Next, restate everything further below without additions.
-- File --
Density functional theory data (GGA-PBE) for crystalline Cd2InGa2 at its relaxed geometry.

Lattice parameters (Å, degrees): 4.3551 4.3551 12.3335 90.00 90.00 90.00
With the nearest neighbours (Å) after each atom.
Space group I4/mmm (No. 139)
Asymmetric unit:
Cd1 0.0000 0.5000 0.2500 x4  4 Ga 2.84, 4 Cd 3.08
In1 0.0000 0.0000 0.0000 x2  8 Ga 3.33
Ga1 0.0000 0.0000 0.3983 x4  1 Ga 2.51

Calculated values
Total magnetization in μB per formula unit: 0.0
Distance to the lowest polymorph of the same formula in eV per formula unit: 0.01
DFT formation energy in kcal/mol of atoms: 1.565
Energy in eV/atom: -2.057
-- Outcome --
Density functional theory data (GGA-PBE) for crystalline Cd2InGa2 at its relaxed geometry.

Lattice parameters (Å, degrees): 4.3551 4.3551 12.3335 90.00 90.00 90.00
With the nearest neighbours (Å) after each atom.
Space group I4/mmm (No. 139)
Asymmetric unit:
Cd1 0.0000 0.5000 0.2500 x4  4 Ga 2.84, 4 Cd 3.08
In1 0.0000 0.0000 0.0000 x2  8 Ga 3.33
Ga1 0.0000 0.0000 0.3983 x4  1 Ga 2.51

Calculated values
Total magnetization in μB per formula unit: 0.0
Distance to the lowest polymorph of the same formula in eV per formula unit: 0.01
DFT formation energy in kcal/mol of atoms: 1.565
Energy in eV/atom: -2.057